Pity & Envy

Disclaimer: I don't own a thing

Kira pitied his captain. He didn't mean to but he couldn't help it. In truth, Kira didn't get an opportunity to really get to know Ichimaru Gin, until the latter made him his vice-captain. Shortly after joining the third, Kira couldn't help but notice the dearth of friends that Gin had. Indeed, Kira was struck by the utter lack of company that Gin kept.

Ever so often, Gin would head to the fifth division to share a meal with Captain Aizen. Unsurprising given how long Gin had been Aizen's vice-captain but that seemed to be the sum total of his social life. For Kira, that would be a source of great sorrow and angst. Kira loved his friends. He loved Renji and his boisterous ways. He loved Hinamori and her gentle kindness. He loved Hisagi and his reliability. He couldn't imagine his life without his friends.

Actually, he didn't have to. He well remembered his lonely days of his childhood, following his parents death. He never wanted to return to those days. Not that he was naive enough to think that everybody felt as he did. He knew that there were those who preferred to be alone and certainly his captain did give off an anti-social vibe. Yet no matter how hard he tried to reconcile himself and tell himself that his captain was happy with no friends whatsoever, he couldn't stop his heart from aching.

He resolved to be there for his captain, whenever he needed a friend that he didn't have. Yes, he would always be there for his captain. Even if he had to give-up some of his own friends, he would do it! But he would not let his captain be alone, if he didn't want to be alone.

One morning, shortly after coming to his resolution, Kira went to wake his captain, "Captain Ichimaru, may I come in," he respectfully asked as he gently rapped on the door. There was no response, yet Kira could feel Ichimaru's reiatsu inside. Kira tried again, "Captain Ichimaru?" again no response.

Kira started to become somewhat concerned. Ichimaru was not known to be a deep sleeper. If he wasn't responding but he was clearly inside... hesitantly Kira opened the door and at once was struck by how Ichimaru was tightly wrapped in sheets despite it being a rather warm day.

"Captain Ichimaru!" exclaimed Kira as he went to examine his captain, just as he got close enough to lay a hand on his captain, a strong vice-like grip grabbed him and pulled him down on the bed.

"Rangiku!" came the weak voice, as Ichimaru laid a hot, burning head on Kira's chest. Then he sort of froze, then sort of rubbed his head on Kira's chest before pushing Kira away roughly, "Not Rangiku," murmured Gin as he returned to bed, "Want Rangiku! Go get Rangiku!" came the somewhat delirious order.

Between two parts of the entry: molecular data =
____________
Molecular formula: C31H26CoN7O5S
Method: DFT, ωB97M-V/def2-TZVPD

Element x y z (Å)
C: -1.1626 5.6336 -1.9262
C: 0.1890 -0.4724 -1.9596
C: -1.6619 2.6606 1.9044
C: -1.6329 3.2824 -2.1021
H: -2.3048 2.4611 -2.3100
C: 2.3143 -2.1297 2.5688
C: -0.9166 -1.7493 -5.0948
O: 2.0844 2.2768 1.0017
H: -2.1385 -4.1738 4.4857
N: -0.6470 -0.9066 -4.0069
C: 0.1018 5.3606 -1.4188
C: -2.0307 4.6008 -2.2557
C: 0.4817 3.5152 2.2166
H: -3.0264 4.8236 -2.6153
O: -3.6100 1.4152 1.3660
C: -0.9299 -3.8939 -6.1418
Co: 0.4302 1.0773 0.6689
C: 3.9987 -3.1759 1.2238
C: -1.3581 4.5648 3.2938
H: 0.7683 6.1685 -1.1484
C: 4.4565 -1.0934 2.3295
C: -1.0756 -2.8863 3.1543
O: 2.8003 4.0070 2.2514
C: -1.1959 -1.5564 2.8938
C: 1.9377 3.2603 1.8167
H: 2.0098 -3.9529 1.4773
N: -0.2296 0.8721 -2.2346
H: -0.7198 -4.9547 -6.1073
H: -2.1928 -1.5313 -8.2126
C: 3.1816 -1.0884 2.8733
S: 0.9567 -0.9580 -0.5637
C: 4.8709 -2.1369 1.5147
C: 0.7618 -4.3158 4.0302
H: -1.7103 -3.9579 -8.1396
C: -1.4868 -3.3345 -7.2845
H: 4.3106 -3.9845 0.5760
H: 1.4664 3.7964 -0.8021
C: 0.0102 4.5156 3.0511
C: 0.5047 4.0485 -1.2299
H: 0.5568 -5.2796 3.5673
N: -0.0333 -1.3413 -2.9490
N: 0.2396 -3.2440 3.1990
C: -0.6418 -3.1112 -5.0366
H: -1.4818 6.6605 -2.0489
H: 5.8694 -2.1357 1.0983
H: -1.9689 -4.8056 2.8461
H: -3.2822 3.6335 2.9013
H: 0.7074 5.2157 3.4888
H: -1.7612 5.3348 3.9399
N: -0.3599 2.6523 1.6785
H: 0.3302 -4.2890 5.0329
C: 2.7110 -3.1706 1.7371
N: 0.0769 1.6970 -1.3666
H: 1.8383 -4.1962 4.1100
N: 0.9847 -2.0810 3.0702
C: -1.4731 -1.1743 -6.2331
C: -0.3620 3.0294 -1.6025
C: -2.1303 -3.8984 3.4290
H: -3.1055 -3.4899 3.1771
H: 2.8448 -0.2721 3.4944
O: 0.5460 0.1170 2.5599
C: -1.7586 -1.9740 -7.3264
C: 0.1238 -1.0216 2.8228
H: -1.6768 -0.1106 -6.2599
H: 5.1227 -0.2685 2.5427
C: -2.2164 3.6293 2.7231
H: -0.2120 -3.5344 -4.1411
H: -2.0980 -0.9963 2.7150
H: -0.9540 0.0634 -4.0305
C: -2.4021 1.5166 1.2114
O: -1.6397 0.7573 0.5063

As for the HOMO-LUMO gap (spin up / spin down): 7.0223 / 6.1991 eV. For the HOMO energy (spin up / spin down), the calculation gives -8.20 / -8.58 eV. The spin multiplicity is 5. The value obtained for the LUMO energy (spin up / spin down) is -1.176 / -2.380 eV. As for the energy: -3737.39367 a.u. As for the net charge: 0. As for the expectation value of S²: 6.056. The value obtained for the relative energy (zero: lowest compared OMol25 entry of this formula, charge and spin) is 0.0 kcal/mol. The strongest force on any atom is 0.450 eV Å⁻¹.

Molecular formula: C31H26F3IrN3O2PS2
Method: DFT, ωB97M-V/def2-TZVPD

Element x y z (Å)
H: -0.1375 1.5892 -4.5552
C: 3.3082 -2.4521 -0.1086
C: 0.6209 -0.0965 3.1677
C: -1.3377 3.9850 -0.3512
H: 5.7141 -3.6347 1.9857
C: -1.1042 -0.1055 -1.7891
C: 0.4708 -4.2072 -1.6737
C: -1.9524 0.4615 -4.3750
C: -0.8163 2.8439 0.2101
H: 3.9342 -4.4260 0.4211
H: -3.6606 -0.7598 -3.9173
C: -4.1851 0.6774 1.3481
C: 0.0646 -2.8876 -1.5302
S: 2.6294 0.1879 -0.7320
C: 1.1997 3.1448 -0.8795
H: 4.6540 0.2694 1.0426
H: 0.8580 -5.0102 1.5921
H: -2.2854 0.6891 -5.3786
____________
Back to the entry =

"But Captain Ichimaru, I have to take care..." began Kira.

"Rangiku!" yelled Gin, "Get Rangiku!"

That definitely was an order. Reluctantly, Kira left the side of his clearly feverish captain and headed for the 10th Division. Though he wasn't entirely certain why his captain wanted Vice-captain Matsumoto Rangiku. Kira was not aware of any connection between the two. As he neared the 10th Division building, he found Rangiku with a bunch of low level shinigami to whom she was issuing orders.

Kira waited until she was done before calling her attention to him, "Vice-captain Matsumoto?" he began.

"Well hey," she greeted when she saw him, "Your Kira Izuru right? The new vice-captain of the 3rd Division. What are you doing here? Can I help with something?"

"Umm... I was sent here by my captain," explained Kira, "He's sick and he's..."

~~~
Entry 1:
Molecular formula: C20H44N2O11P3
Method: DFT, ωB97M-V/def2-TZVPD

Properties
- Max |F|: 0.1497 Eh/bohr
- Net charge: +1
- HOMO: -11.9 eV
- Total energy: -74815.9997 eV
- E_LUMO: -3.64 eV
- Frontier orbital gap: 0.3025 Ha
- M: 581.50 g mol⁻¹

```
80
Properties=species:S:1:pos:R:3:forces:R:3:mulliken_charge:R:1
N -1.256 -0.301 -2.778 0.7 0.9 0.5 -0.63
P -0.278 -0.628 -1.651 -4.6 -1.6 -2.6 0.28
O 0.237 -2.134 -1.887 0.9 1.3 1.7 -0.38
O -1.073 -0.462 -0.243 2.4 -0.6 0.0 -0.44
N 1.080 0.577 -1.804 0.2 0.2 1.3 0.53
O 0.459 1.838 -1.904 0.0 0.2 -0.1 -0.39
C 2.001 0.647 -0.625 0.6 -0.5 1.3 -0.77
C 2.982 -0.539 -0.512 0.7 0.1 -0.3 -1.02
C 3.658 -0.905 -1.828 0.3 -0.3 -0.9 0.14
C 3.358 -2.082 -2.527 -0.4 -0.1 0.5 0.10
C 4.000 -2.434 -3.708 0.1 -0.3 -0.3 -0.73
C 4.984 -1.619 -4.264 -0.4 0.0 0.7 -0.42
C 5.294 -0.438 -3.582 0.4 -0.1 -0.5 -0.68
C 4.652 -0.093 -2.400 -0.3 0.4 0.5 -0.04
H -2.173 -0.068 -2.404 0.0 0.0 -0.6 0.28
H 0.027 -2.699 -1.125 0.2 -0.3 -0.3 0.37
H -0.802 -1.130 0.413 -0.3 0.4 0.3 0.37
H 1.574 0.468 -2.705 0.0 -0.2 0.2 0.47
H -0.301 1.828 -1.291 0.0 0.0 -0.2 0.39
H 1.379 0.643 0.289 -0.1 0.2 -0.5 0.37
H 2.511 1.619 -0.621 -0.1 -0.4 -0.5 0.39
H 3.781 -0.209 0.176 -0.5 0.0 -0.1 0.46
H 2.546 -1.429 -0.029 -0.1 0.3 -0.4 0.49
H 2.613 -2.768 -2.117 0.2 0.2 -0.1 0.30
H 3.734 -3.384 -4.180 0.1 0.4 0.1 0.36
H 5.505 -1.911 -5.176 -0.2 0.2 0.3 0.40
H 6.086 0.189 -3.997 -0.3 0.0 0.3 0.37
H 4.924 0.838 -1.890 0.1 -0.3 -0.2 0.39
O 3.839 4.202 5.849 -1.8 2.4 -2.0 -0.74
P 4.298 3.743 4.506 4.6 -5.8 2.1 1.09
O 3.773 2.182 4.480 -0.3 0.6 -0.4 -0.39
C 2.380 1.922 4.494 -0.1 -0.2 0.0 -0.48
C 1.716 2.331 3.189 -0.1 0.2 -0.1 -0.78
O 5.882 3.488 4.804 -0.3 0.7 -0.5 -0.32
C 6.514 4.012 5.975 0.1 -0.1 0.4 -0.32
C 6.490 3.004 7.107 0.0 -0.2 0.0 -1.05
O 4.674 3.713 2.873 -2.2 2.2 0.7 -0.27
C 4.228 4.813 2.064 0.0 0.3 -0.3 -0.18
C 4.672 6.155 2.612 0.0 0.0 0.2 -1.22
H 1.907 2.421 5.344 0.0 0.0 0.0 0.29
H 2.264 0.846 4.638 0.1 0.0 0.1 0.36
H 1.669 3.421 3.105 -0.1 0.0 0.0 0.18
H 0.694 1.950 3.136 0.0 0.0 0.1 0.48
H 2.283 1.958 2.333 0.1 -0.1 0.1 0.13
H 6.060 4.957 6.272 -0.1 -0.1 0.0 0.32
H 7.550 4.231 5.707 -0.1 -0.1 -0.2 0.36
H 5.487 2.615 7.281 -0.1 0.2 0.0 0.28
H 6.854 3.454 8.031 0.0 0.0 0.0 0.36
H 7.122 2.147 6.865 0.0 0.1 0.0 0.28
H 3.138 4.781 1.969 0.0 0.0 -0.1 0.24
H 4.648 4.664 1.068 0.1 -0.2 0.1 0.33
H 4.196 6.363 3.578 0.0 0.0 -0.1 0.37
H 4.400 6.959 1.927 0.0 0.0 0.0 0.40
H 5.750 6.171 2.771 0.0 0.0 -0.1 0.31
O -6.029 -2.739 -3.727 -3.0 -1.5 -1.0 -0.75
P -6.577 -3.023 -2.368 5.4 2.6 4.4 1.07
O -6.592 -1.534 -1.678 -0.4 -0.5 -0.3 -0.37
C -7.461 -0.539 -2.211 -0.2 0.3 0.0 -0.33
C -8.921 -0.857 -1.943 0.0 -0.2 -0.1 -0.96
O -5.236 -3.640 -1.645 -0.5 -0.5 -0.1 -0.37
C -4.114 -4.060 -2.411 0.2 0.2 0.0 -0.56
C -3.109 -2.934 -2.557 0.1 0.0 0.0 -0.66
O -7.466 -3.688 -1.126 -1.4 -0.4 -3.0 -0.28
C -8.590 -4.519 -1.468 -0.4 -0.4 0.1 -0.18
C -8.213 -5.644 -2.411 0.2 0.1 -0.1 -1.14
H -7.281 -0.414 -3.282 0.0 0.0 0.0 0.29
H -7.199 0.399 -1.721 0.1 -0.1 0.0 0.33
~~~

Before Kira could finish Rangiku screeched, "Gin's sick!" that was all she said before she shunpoed away as fast as she could. Leaving behind a stunned Kira.

By the time Kira made his own slow way back to his captain's quarter, Rangiku had already been there for sometime. Kira entered the room to find his captain happily resting against Rangiku's ample breasts and as the latter pressed cold compress to his forehead and whispered words that Kira couldn't quite catch.

"Can you lend me a hell butterfly?" she asked of Kira as soon as he entered, "Actually, better yet, can you send a hell butterfly to Vice-captain Kotetsu for me? Tell her to bring around some of the special soup from the 4th. Can you also send a hell butterfly to Vice-captain Ise? Tell her that she has to cover my paperwork for me. Thanks!" with that she turned all her attention back to the silver haired man pressed against her buxom bosoms.

For a moment Kira stood where he was, overcome by an odd sensation as he watched his captain snuggle into the chest of the ever beautiful Matsumoto Rangiku. It was as if Kira was completely shut out, even though he was in the same room with them, there was no place for him. They weren't even doing anything, they were simply so comfortable in each other's company that no one else could possible intrude. It made his heartache as he turned to leave, to go about completing the tasks assigned to him.

As he sent the first hell butterfly on its way, Kira realised something. He realised that he envied his captain. He didn't mean to but he couldn't help it. In truth, Kira hadn't had an opportunity to really get to know Ichimaru Gin, until the latter made him his vice-captain. Now that he had gotten to know his captain, he realised that his captain had something that he longed for. His captain had a love that filled his heart, gave him comfort and allowed him to slip into his own little world, where no one else could trespass. Kira would give anything, anything for a love like that.